Duplicate every line further down that contains the word "upf".

........
The following is a PBE with a Hubbard U calculation of NdEuHfFeO6 after structural relaxation, from the Materials Project. Values from VASP.

```
&SYSTEM
  ibrav = 0, nat = 10, ntyp = 5
/
ATOMIC_SPECIES
Nd 144.24 Nd.upf
Eu 151.96 Eu.upf
Hf 178.49 Hf.upf
Fe 55.84 Fe.upf
O 16.00 O.upf
CELL_PARAMETERS angstrom
0.000 4.050 4.050
4.050 0.000 4.050
4.050 4.050 0.000
ATOMIC_POSITIONS crystal
Nd 0.000 0.000 0.000
Eu 0.500 0.500 0.500
Hf 0.750 0.750 0.750
Fe 0.250 0.250 0.250
O 0.003 0.003 0.497
O 0.003 0.497 0.003
O 0.003 0.497 0.497
O 0.497 0.003 0.003
O 0.497 0.003 0.497
O 0.497 0.497 0.003
```

Computed properties:
Its total moment is 1.185 μB/atom. Its crystal system is cubic. The value obtained for the total energy is -8.82 eV/atom. The total energy after the MP2020 corrections comes out at -9.45 eV/atom. Its calculated density is 7.83 g/cm3.

* * * * *

{"formula": "LuTa3", "functional": "GGA-PBE", "state": "relaxed", "cell": [[6.2393, 0.0000, 0.0000], [-3.1196, 5.4034, 0.0000], [0.0000, 0.0000, 4.9914]], "species": ["Lu", "Lu", "Ta", "Ta", "Ta", "Ta", "Ta", "Ta"], "frac_coords": [[0.3333, 0.6667, 0.2500], [0.6667, 0.3333, 0.7500], [0.1495, 0.2990, 0.7500], [0.1495, 0.8505, 0.7500], [0.2990, 0.1495, 0.2500], [0.7010, 0.8505, 0.7500], [0.8505, 0.1495, 0.2500], [0.8505, 0.7010, 0.2500]], "formation_energy_kj_per_mol_atoms": 31.1, "mass_density_g_cm3": 14.17, "final_energy_ev_per_fu": -38.8}

* * * * *

# GGA-PBE CaCuP2O7, relaxed
# ΔE_f: -28.45 eV/f.u.
# Corrected total energy (MP2020 scheme): -0.53465 Ry per atom
# Electronic total energy: -150.4 eV per cell
# Crystal system: triclinic
# Energy above the lowest structure with this stoichiometry: 46 meV/atom
data_CaCuP2O7
_chemical_formula_sum 'Ca2 Cu2 P4 O14'
_symmetry_space_group_name_H-M 'P -1'
_symmetry_Int_Tables_number 2
_cell_length_a 6.482
_cell_length_b 6.574
_cell_length_c 6.712
_cell_angle_alpha 66.33
_cell_angle_beta 87.35
_cell_angle_gamma 82.55
loop_
_symmetry_equiv_pos_as_xyz
'x,y,z'
'-x,-y,-z'
loop_
_atom_site_label
_atom_site_fract_x
_atom_site_fract_y
_atom_site_fract_z
Ca1 0.143 0.229 0.326
Cu1 0.352 0.399 0.725
P1 0.143 0.729 0.252
P2 0.373 0.857 0.832
O1 0.026 0.399 0.780
O2 0.068 0.884 0.363
O3 0.222 0.890 0.020
O4 0.273 0.706 0.753
O5 0.331 0.550 0.367
O6 0.375 0.099 0.661
O7 0.410 0.246 0.063

# GGA-PBE CaCuP2O7, relaxed
# ΔE_f: -28.83 eV/f.u.
# Corrected total energy (MP2020 scheme): -0.53716 Ry per atom
# Electronic total energy: -151.2 eV per cell
# Crystal system: triclinic
# Energy above the lowest structure with this stoichiometry: 12 meV/atom
data_CaCuP2O7
_chemical_formula_sum 'Ca2 Cu2 P4 O14'
_symmetry_space_group_name_H-M 'P -1'
_symmetry_Int_Tables_number 2
_cell_length_a 6.088
_cell_length_b 6.514
_cell_length_c 7.467
_cell_angle_alpha 81.60
_cell_angle_beta 89.50
_cell_angle_gamma 68.50
loop_
_symmetry_equiv_pos_as_xyz
'x,y,z'
'-x,-y,-z'
loop_
_atom_site_label
_atom_site_fract_x
_atom_site_fract_y
_atom_site_fract_z
Ca1 0.203 0.285 0.363
Cu1 0.234 0.877 0.829
P1 0.259 0.783 0.377
P2 0.343 0.338 0.882
O1 0.090 0.006 0.268
O2 0.136 0.627 0.452
O3 0.166 0.582 0.854
O4 0.246 0.183 0.806
O5 0.400 0.841 0.516
O6 0.431 0.651 0.231
O7 0.438 0.261 0.082

# GGA-PBE Ca3Cu3P4O16, relaxed
# ΔE_f: -68.15 eV/f.u.
# Corrected total energy (MP2020 scheme): -0.52944 Ry per atom
# Electronic total energy: -352.6 eV per cell
# Crystal system: monoclinic
data_Ca3Cu3P4O16
_chemical_formula_sum 'Ca6 Cu6 P8 O32'
_symmetry_space_group_name_H-M 'P 1 21/c 1'
_symmetry_Int_Tables_number 14
_cell_length_a 9.026
_cell_length_b 4.967
_cell_length_c 16.665
_cell_angle_alpha 90.00
_cell_angle_beta 117.78
_cell_angle_gamma 90.00
loop_
_symmetry_equiv_pos_as_xyz
'x,y,z'
'-x,-y,-z'
'-x,y+1/2,-z+1/2'
'x,-y+1/2,z+1/2'
loop_
_atom_site_label
_atom_site_fract_x
_atom_site_fract_y
_atom_site_fract_z
Ca1 0.000 0.000 0.000
Ca2 0.301 0.030 0.265
Cu1 0.208 0.530 0.380
Cu2 0.500 0.000 0.500
P1 0.038 0.513 0.160
P2 0.436 0.509 0.594
O1 0.034 0.679 0.643
O2 0.092 0.149 0.600
........

Nd 144.24 Nd.upf
Eu 151.96 Eu.upf
Hf 178.49 Hf.upf
Fe 55.84 Fe.upf
O 16.00 O.upf